
Military draft is no simple bargaining chip

It's hard to make a popular case for sending young men and women off to war. But the men and women who voluntarily serve in the U.S. military understand that the possibility of combat is always with us. Our nation's military preparedness is as much a deterrent to conflict and invasion as diplomacy.

Now some Americans suggest that if universal military conscription were reinstated, there would be less support for going to war with Iraq. This is the argument offered by Rep. Charles Rangel of New York. Rangel is a Korean War veteran who opposes a military solution in Iraq. He believes members of Congress would be less likely to support war against Saddam Hussein if their children were the ones to be put in harm's way. Rangel further believes minorities make up a disproportionate number of military enlistees.

The United States hasn't had a military draft for nearly 30 years, although young men are still required to register with the Selective Service System when they turn 18 years old. Since the draft was ended after the Vietnam War, the military has relied on recruitment to attract men and women to the armed forces.

**Misplaced data records**
+++
A cluster of 18 separate species, C27H46Cl34O4 in total at a distorted geometry. Source: the Open Molecules 2025 dataset; level of theory: ωB97M-V with the def2-TZVPD basis set.

The total energy comes out at -17003.5329 Eh. The HOMO energy comes out at -10.219 eV. The HOMO-LUMO gap comes out at 8.3898 eV. The maximum force comes out at 9.365 eV Å⁻¹.

ORCA input file:
```
! RIJCOSX wB97M-V def2-TZVPD def2/J DEFGRID3
* xyz 0 1
C 3.066 -3.082 -5.287
H 2.461 4.792 -1.749
C -4.306 -2.593 7.660
Cl 2.892 4.969 4.257
Cl 8.667 0.449 5.389
Cl -2.611 2.326 -5.269
C 6.171 -1.197 -8.095
C -5.340 -0.590 -2.170
H -3.330 -3.652 -2.449
Cl -3.316 1.203 1.580
Cl 2.285 -6.361 4.498
C -2.216 -3.564 -2.835
H -2.939 -1.044 4.645
C 0.095 7.120 2.193
C -2.643 -1.882 -4.989
H -3.640 -4.164 1.766
H -1.729 -4.632 -2.619
C -4.926 -1.573 -3.416
H -3.694 2.851 -0.069
H -2.233 6.575 0.378
Cl -1.815 -0.012 6.446
Cl -2.819 -3.490 7.325
H 6.052 -1.890 -8.932
C 2.130 5.431 5.784
Cl 0.758 6.511 5.510
C 7.463 0.568 6.678
O -4.385 0.525 -2.280
Cl 3.689 0.877 0.965
C -2.094 -3.345 -4.465
H -0.361 -4.715 -5.163
Cl -3.795 -2.190 3.053
Cl -4.995 3.724 -6.197
H 2.657 6.551 -1.993
H -4.228 -2.131 8.648
Cl -2.208 5.600 -1.773
Cl 6.832 -2.916 6.145
H -6.071 -2.389 -5.234
H -3.265 -2.048 -5.970
C -0.477 -3.576 -4.825
H -5.205 2.043 0.439
H 3.477 3.147 0.352
Cl 2.537 -2.377 -6.819
H 7.971 0.528 7.644
C 7.326 -3.723 4.652
Cl 5.922 -4.307 3.750
H 0.179 -3.489 -3.833
O -7.384 -4.666 -3.739
H 6.766 -0.270 6.592
H -2.823 4.596 -5.882
H 4.158 -3.121 -5.272
H -4.917 -3.662 -4.329
Cl 3.076 -3.088 4.901
H -0.095 -2.839 -5.664
H -7.615 -2.846 -2.526
O -6.314 -0.864 -1.299
Cl -0.824 -0.498 3.748
C -2.254 -0.199 4.744
C -3.084 0.095 -2.820
H -0.651 2.373 -3.232
H 2.867 5.943 6.408
C 3.995 -6.759 4.291
C 1.646 -2.790 5.897
H 0.649 8.035 1.968
Cl -0.071 4.329 -4.421
H -2.142 -3.193 1.696
H -2.701 -4.224 -4.995
Cl 1.305 2.275 0.037
H 4.549 -5.845 4.067
H -1.648 -2.716 -2.241
C 3.146 5.637 -1.650
Cl -4.342 7.142 -0.520
C -5.714 -2.790 -4.182
H 4.372 -7.201 5.217
H 0.472 6.678 3.118
H 2.660 -4.093 -5.202
C -6.991 -3.416 -3.367
Cl -4.571 -1.329 6.454
H 0.272 3.526 -2.226
H 1.779 4.530 6.293
H -1.692 -1.196 -5.206
C 3.070 2.205 -0.024
C -2.970 6.062 -0.246
H -5.151 -3.285 7.642
H -2.915 3.504 -7.293
Cl 7.660 -0.272 -8.321
C 0.194 3.065 -3.214
Cl -1.615 7.519 2.400
Cl 4.576 5.338 -2.646
H 7.878 -3.014 4.030
H -3.321 5.162 0.263
Cl 2.505 -2.119 -3.916
Cl 6.217 -2.118 -6.587
H 5.325 -0.507 -8.065
H 1.157 -1.875 5.553
C -3.230 3.654 -6.258
Cl 2.085 -2.603 7.600
Cl 0.324 5.970 0.870
O -1.905 0.670 -2.568
Cl 3.585 5.824 0.053
Cl 1.681 2.168 -3.549
C -4.260 2.468 0.784
H -2.743 0.715 4.400
Cl -3.763 -2.448 0.149
Cl 6.558 2.082 6.565
H 3.385 2.055 -1.059
Cl 4.224 -7.910 2.969
H 0.961 -3.634 5.798
Cl -4.600 3.801 1.895
H 7.967 -4.572 4.902
C -3.234 -3.154 1.681
C -3.516 -1.160 -3.792
*
```
+++

According to the Pentagon, recruiting efforts and voluntary enlistments have made our armed forces more professional and efficient, mainly because the people who serve are in the military by choice.

Millions of Americans are old enough to have participated in the Vietnam War or the anti-war protests of that era. Men who are in the 50s and 60s now remember the draft lotteries and how they affected the lives of hundreds of thousands of families.

But even with the draft supplying thousands of new soldiers for the war in Vietnam, there were numerous and violent protests. Having the draft in place during the Vietnam War era was a major factor in determining how young men of draft age felt about being sent off to combat. But the draft had little to do with Congress' decisions on the war in Vietnam, as Rangel suggests it would regarding war in Iraq.

Moreover, the Pentagon says Rangel is wrong when he claims U.S. soldiers are disproportionately minorities. Blacks make up 20 percent of enlistees but only 15 percent of the combat force, which mirrors the percentage of blacks currently in the recruit-age population.

Perhaps the weakest point of Rangel's argument regarding the draft is the notion that members of Congress are unfamiliar with military service.

Like Rangel, many other representatives and senators have served their nation through military service, many of them in combat and some of them as prisoners of war. They certainly know what they're talking about when they debate and vote on issues relating to the situation in Iraq. More than that, many members of Congress have sons and daughters who have volunteered for military duty and serve their nation proudly, even in the face of a war in Iraq.

/*
16
Properties=species:S:1:pos:R:3:forces:R:3 method="wB97M-V/def2-TZVPD" smiles="CC(C)(F)S(=O)(=O)N(F)F" homo_ev=-10.74
C 1.329 0.035 -1.430 1.6298 0.7611 2.6472
C 0.700 -0.337 -0.066 -1.4112 -0.8186 -0.2875
C 1.278 -0.089 1.296 0.2615 1.7808 0.3028
F 0.385 -1.671 -0.086 -0.0668 -0.6200 -0.6053
S -1.101 0.549 -0.141 1.5252 0.9277 0.9577
O -0.925 1.771 0.585 -0.2443 0.0216 0.2032
O -1.540 0.569 -1.478 -0.6324 -0.2958 -1.5837
N -2.415 -0.274 0.843 0.3405 -0.8137 0.3584
F -2.755 -1.429 0.159 0.3609 0.1006 -0.0372
F -3.499 0.520 0.596 0.0196 0.3945 -0.0749
H 0.586 0.081 -2.139 -1.7136 -0.2667 -1.7198
H 1.758 1.063 -1.400 0.0462 -0.8521 0.1585
H 2.066 -0.740 -1.692 -0.1319 0.4202 0.2168
H 1.002 0.969 1.575 0.9127 -0.9591 -0.1749
H 0.757 -0.713 2.020 -0.0001 -0.1623 -0.1434
H 2.373 -0.305 1.358 -0.8960 0.3819 -0.2180


12
Properties=species:S:1:pos:R:3:forces:R:3 method="wB97M-V/def2-TZVPD" homo_ev=-4.11 charge=-1
O -0.681 2.683 0.048 -0.3338 -0.4493 -1.2136
C -0.386 1.583 -0.464 0.5011 -0.9180 3.3671
N 0.401 0.666 0.268 -2.6873 1.1513 -3.4970
C 1.415 -0.389 -1.001 1.6931 -1.7876 1.5715
O 0.785 -0.982 -1.917 0.5332 1.2061 1.5646
H -0.910 1.194 -1.376 0.9919 0.4081 0.1017
H 0.252 0.950 1.223 0.9271 0.0931 0.5374
H 1.868 -0.967 -0.023 -0.8472 0.5946 -2.1916
H 2.148 0.450 -1.208 -0.9411 -0.4197 -0.1341
H -1.816 -1.568 2.214 -0.1413 -1.0157 -0.6288
H -1.313 -1.459 0.813 -0.8408 -1.9454 0.9201
O -1.764 -2.161 1.423 1.1452 3.0822 -0.3973


108
Properties=species:S:1:pos:R:3:forces:R:3 method="wB97M-V/def2-TZVPD" homo_ev=-11.54 charge=+1
C 0.490 -8.009 7.143 -0.5955 0.1669 -0.1619
C -0.473 -7.771 5.963 0.5940 0.1404 -0.1931
B 0.141 -6.739 4.981 0.2198 0.0030 0.5635
O 1.479 -6.634 4.731 -0.6773 0.1313 -0.8437
P -0.983 -5.474 3.952 -0.1477 -0.4933 0.4261
C -0.246 -5.287 2.311 -0.4829 0.0125 -0.5047
C -1.255 -5.498 1.190 -2.3717 -1.3022 0.0672
O -2.349 -6.010 1.372 2.0645 1.2262 -0.3655
O -0.868 -5.078 -0.041 0.4924 0.2185 0.4569
C 0.514 -5.234 -0.313 1.0818 -2.0429 -0.1558
C 1.332 -4.016 -0.564 -0.5482 -0.0371 0.2128
O 0.980 -6.354 -0.309 -0.9856 1.6895 0.1868
O -1.237 -4.118 4.714 0.0494 0.1499 -0.3491
C -0.548 -2.924 4.209 0.3201 0.0115 0.0950
C -0.554 -1.807 5.213 -0.5182 0.3361 0.0722
N 0.232 -0.716 4.681 -0.0901 -0.1764 0.2691
C 1.669 -0.926 4.769 -0.3788 0.2015 -0.4550
C 2.361 -0.477 3.516 0.9363 -0.2255 -0.3024
C 3.840 -0.849 3.609 -0.7773 -0.0131 0.3996
O 1.756 -1.143 2.410 -0.3137 -0.3371 0.0876
H 0.528 -7.112 7.743 0.1554 0.1791 0.3548
H 1.486 -8.242 6.808 0.3581 -0.0828 -0.1291
H 0.132 -8.824 7.752 -0.0760 -0.2120 0.2650
H -0.553 -8.710 5.410 -0.2152 -0.2053 -0.2234
H -1.472 -7.515 6.293 -0.2936 0.0081 0.0816
H 1.762 -7.410 4.234 0.7723 -0.2652 0.3267
H -2.223 -6.099 3.794 -0.0476 0.2016 -0.1643
H 0.506 -6.060 2.209 0.2860 -0.2530 0.0516
H 0.267 -4.345 2.154 0.1310 0.2540 0.2780
H 1.864 -4.159 -1.488 0.1160 0.0833 -0.4098
H 2.084 -3.984 0.213 0.2637 0.0015 0.2590
H 0.782 -3.088 -0.538 -0.2279 0.2233 -0.1807
*/

There may come a time when a military draft must be reinstated. That time isn't now. And the idea that having a draft would change this nation's foreign policy is a weak argument that has little merit at a time when troops are being poised for action in the Mideast.
